Please retype the whole of the calculation results further down character by character.

Record 1
The following is a PBE calculation of a relaxed CsCaBi2 crystal, from the Alexandria database.

Cell: 5.992 5.992 5.992 Å, 60.00 60.00 60.00°
Fractional coordinates of all 4 atoms:
Cs  0.500  0.500  0.500
Bi  0.750  0.750  0.750
Bi  0.250  0.250  0.250
Ca  0.000  0.000  0.000

Values from the calculation:
The density of states at the Fermi level is 3.20 states/eV/cell. The calculation puts the energy above the most stable polymorph in this dataset at 316 meV per atom. Its symmetry is Fm-3m, No. 225.



Record 2
The following is a PBE calculation of a relaxed PmPuAuO6 crystal, from the Alexandria database.

Cell: 5.894 5.894 8.853 Å, 90.00 90.00 120.00°
Last column: magnetic moment on the atom in μB.
Fractional coordinates of all 18 atoms:
Au  0.000  0.000  0.000  0.02
Au  0.000  0.000  0.500  0.02
O  0.044  0.377  0.629  0.06
O  0.044  0.667  0.871  0.06
O  0.667  0.623  0.129  0.06
O  0.623  0.667  0.629  0.06
O  0.956  0.333  0.129  0.06
O  0.623  0.956  0.871  0.06
O  0.667  0.044  0.371  0.06
O  0.377  0.333  0.371  0.06
O  0.377  0.044  0.129  0.06
O  0.333  0.377  0.871  0.06
O  0.956  0.623  0.371  0.06
O  0.333  0.956  0.629  0.06
Pu  0.667  0.333  0.250  -1.41
Pu  0.333  0.667  0.750  -1.41
Pm  0.667  0.333  0.750  0.00
Pm  0.333  0.667  0.250  0.00

Values from the calculation:
As for the energy relative to the elements, uncorrected: -1644 kJ/mol of formula units. The density of states at the Fermi level is 15.68 states/eV/cell. Its symmetry is P-31c, No. 163.



Record 3
The following is a PBE calculation of a relaxed LiGa2GeBr crystal, from the Alexandria database.

Cell: 5.553 5.306 5.553 Å, 90.00 90.00 90.00°
Fractional coordinates of all 5 atoms:
Ga  0.500  0.000  0.000
Ga  0.000  0.000  0.500
Li  0.500  0.500  0.500
Br  0.000  0.000  0.000
Ge  0.000  0.500  0.000

Values from the calculation:
As for the energy relative to the elements, uncorrected: 231 kJ/mol of formula units. The density of states at the Fermi level is 2.71 states/eV/cell. Its symmetry is P4/mmm, No. 123.



Record 4
The following is a PBE calculation of a relaxed TcPOs2 crystal, from the Alexandria database.

Cell: 3.960 2.822 5.144 Å, 75.35 90.00 90.00°
Fractional coordinates of all 4 atoms:
Os  0.000  0.862  0.765
Os  0.000  0.138  0.235
P  0.500  0.500  0.000
Tc  0.500  0.500  0.500

Values from the calculation:
The calculated total energy comes out at -9.519 eV/atom. The density of states at the Fermi level is 2.50 states/eV/cell. Its symmetry is P2/m, No. 10.



Record 5
The following is a PBE calculation of a relaxed Ti5Zn2Ir crystal, from the Alexandria database.

Cell: 6.498 6.498 7.717 Å, 114.90 114.90 90.00°
Fractional coordinates of all 16 atoms:
Ti  0.500  0.500  0.000
Ti  0.993  0.493  0.315
Ti  0.007  0.507  0.685
Ti  0.323  0.823  0.315
Ti  0.823  0.993  0.315
Ti  0.677  0.177  0.685
Ti  0.507  0.677  0.685
Ti  0.000  0.000  0.000
Ti  0.177  0.007  0.685
Ti  0.493  0.323  0.315
Ir  0.250  0.250  0.500
Ir  0.750  0.750  0.500
Zn  0.870  0.630  0.000
Zn  0.130  0.370  0.000
Zn  0.370  0.870  0.000
Zn  0.630  0.130  0.000

Values from the calculation:
The density of states at the Fermi level is 25.02 states/eV/cell. The calculation puts the energy above the most stable polymorph in this dataset at 137 meV per atom. Its symmetry is I4/mcm, No. 140.



Record 6
The following is a PBE calculation of a relaxed Ac2ThCd crystal, from the Alexandria database.

Cell: 5.882 5.882 5.882 Å, 60.00 60.00 60.00°
Last column: magnetic moment on the atom in μB.
Fractional coordinates of all 4 atoms:
Th  0.000  0.000  0.000  0.18
Ac  0.250  0.250  0.250  0.05
Ac  0.750  0.750  0.750  0.05
Cd  0.500  0.500  0.500  -0.01

Values from the calculation:
The density of states at the Fermi level is 6.21 states/eV/cell. The calculation puts the energy above the most stable polymorph in this dataset at 217 meV per atom. Its symmetry is Fm-3m, No. 225.



Record 7

Record 1
The following is a PBE calculation of a relaxed CsCaBi2 crystal, from the Alexandria database.

Cell: 5.992 5.992 5.992 Å, 60.00 60.00 60.00°
Fractional coordinates of all 4 atoms:
Cs  0.500  0.500  0.500
Bi  0.750  0.750  0.750
Bi  0.250  0.250  0.250
Ca  0.000  0.000  0.000

Values from the calculation:
The density of states at the Fermi level is 3.20 states/eV/cell. The calculation puts the energy above the most stable polymorph in this dataset at 316 meV per atom. Its symmetry is Fm-3m, No. 225.



Record 2
The following is a PBE calculation of a relaxed PmPuAuO6 crystal, from the Alexandria database.

Cell: 5.894 5.894 8.853 Å, 90.00 90.00 120.00°
Last column: magnetic moment on the atom in μB.
Fractional coordinates of all 18 atoms:
Au  0.000  0.000  0.000  0.02
Au  0.000  0.000  0.500  0.02
O  0.044  0.377  0.629  0.06
O  0.044  0.667  0.871  0.06
O  0.667  0.623  0.129  0.06
O  0.623  0.667  0.629  0.06
O  0.956  0.333  0.129  0.06
O  0.623  0.956  0.871  0.06
O  0.667  0.044  0.371  0.06
O  0.377  0.333  0.371  0.06
O  0.377  0.044  0.129  0.06
O  0.333  0.377  0.871  0.06
O  0.956  0.623  0.371  0.06
O  0.333  0.956  0.629  0.06
Pu  0.667  0.333  0.250  -1.41
Pu  0.333  0.667  0.750  -1.41
Pm  0.667  0.333  0.750  0.00
Pm  0.333  0.667  0.250  0.00

Values from the calculation:
As for the energy relative to the elements, uncorrected: -1644 kJ/mol of formula units. The density of states at the Fermi level is 15.68 states/eV/cell. Its symmetry is P-31c, No. 163.



Record 3
The following is a PBE calculation of a relaxed LiGa2GeBr crystal, from the Alexandria database.

Cell: 5.553 5.306 5.553 Å, 90.00 90.00 90.00°
Fractional coordinates of all 5 atoms:
Ga  0.500  0.000  0.000
Ga  0.000  0.000  0.500
Li  0.500  0.500  0.500
Br  0.000  0.000  0.000
Ge  0.000  0.500  0.000

Values from the calculation:
As for the energy relative to the elements, uncorrected: 231 kJ/mol of formula units. The density of states at the Fermi level is 2.71 states/eV/cell. Its symmetry is P4/mmm, No. 123.



Record 4
The following is a PBE calculation of a relaxed TcPOs2 crystal, from the Alexandria database.

Cell: 3.960 2.822 5.144 Å, 75.35 90.00 90.00°
Fractional coordinates of all 4 atoms:
Os  0.000  0.862  0.765
Os  0.000  0.138  0.235
P  0.500  0.500  0.000
Tc  0.500  0.500  0.500

Values from the calculation:
The calculated total energy comes out at -9.519 eV/atom. The density of states at the Fermi level is 2.50 states/eV/cell. Its symmetry is P2/m, No. 10.



Record 5
The following is a PBE calculation of a relaxed Ti5Zn2Ir crystal, from the Alexandria database.

Cell: 6.498 6.498 7.717 Å, 114.90 114.90 90.00°
Fractional coordinates of all 16 atoms:
Ti  0.500  0.500  0.000
Ti  0.993  0.493  0.315
Ti  0.007  0.507  0.685
Ti  0.323  0.823  0.315
Ti  0.823  0.993  0.315
Ti  0.677  0.177  0.685
Ti  0.507  0.677  0.685
Ti  0.000  0.000  0.000
Ti  0.177  0.007  0.685
Ti  0.493  0.323  0.315
Ir  0.250  0.250  0.500
Ir  0.750  0.750  0.500
Zn  0.870  0.630  0.000
Zn  0.130  0.370  0.000
Zn  0.370  0.870  0.000
Zn  0.630  0.130  0.000

Values from the calculation:
The density of states at the Fermi level is 25.02 states/eV/cell. The calculation puts the energy above the most stable polymorph in this dataset at 137 meV per atom. Its symmetry is I4/mcm, No. 140.



Record 6
The following is a PBE calculation of a relaxed Ac2ThCd crystal, from the Alexandria database.

Cell: 5.882 5.882 5.882 Å, 60.00 60.00 60.00°
Last column: magnetic moment on the atom in μB.
Fractional coordinates of all 4 atoms:
Th  0.000  0.000  0.000  0.18
Ac  0.250  0.250  0.250  0.05
Ac  0.750  0.750  0.750  0.05
Cd  0.500  0.500  0.500  -0.01

Values from the calculation:
The density of states at the Fermi level is 6.21 states/eV/cell. The calculation puts the energy above the most stable polymorph in this dataset at 217 meV per atom. Its symmetry is Fm-3m, No. 225.



Record 7